-- Input --
┌──
[1]
# Tb3Ge4, optimized geometry, DFT r2SCAN
# Calculated formation energy   -0.882 eV/atom
# Total DFT energy (no corrections)   -22.191 eV per atom
data_Tb3Ge4
_chemical_formula_sum 'Tb12 Ge16'
_cell_length_a 4.083
_cell_length_b 10.688
_cell_length_c 14.254
_cell_angle_alpha 90.00
_cell_angle_beta 90.00
_cell_angle_gamma 90.00
_space_group_name_H-M_alt 'C m c m'
_space_group_IT_number 63
_space_group_name_Hall '-C 2c 2'
loop_
_atom_site_label
_atom_site_type_symbol
_atom_site_fract_x
_atom_site_fract_y
_atom_site_fract_z
Tb1 Tb 0.000 0.044 0.250
Tb2 Tb 0.000 0.330 0.097
Ge1 Ge 0.000 0.000 0.000
Ge2 Ge 0.000 0.229 0.750
Ge3 Ge 0.000 0.381 0.609


[2]
# Ti2CoRe, optimized geometry, DFT r2SCAN
# Calculated formation energy   -0.451 eV/atom
# Total DFT energy (no corrections)   -23.331 eV per atom
data_Ti2CoRe
_chemical_formula_sum 'Ti8 Co4 Re4'
_cell_length_a 6.096
_cell_length_b 6.096
_cell_length_c 6.096
_cell_angle_alpha 90.00
_cell_angle_beta 90.00
_cell_angle_gamma 90.00
_space_group_name_H-M_alt 'F m -3 m'
_space_group_IT_number 225
_space_group_name_Hall '-F 4 2 3'
loop_
_atom_site_label
_atom_site_type_symbol
_atom_site_fract_x
_atom_site_fract_y
_atom_site_fract_z
Ti1 Ti 0.250 0.250 0.250
Co1 Co 0.000 0.000 0.000
Re1 Re 0.000 0.000 0.500


[3]
# TeO2, optimized geometry, DFT r2SCAN
# Calculated formation energy   -1.102 eV/atom
# Total DFT energy (no corrections)   -13.556 eV per atom
data_TeO2
_chemical_formula_sum 'Te4 O8'
_cell_length_a 4.833
_cell_length_b 4.833
_cell_length_c 7.651
_cell_angle_alpha 90.00
_cell_angle_beta 90.00
_cell_angle_gamma 90.00
_space_group_name_H-M_alt 'P 41 21 2'
_space_group_IT_number 92
loop_
_space_group_symop_operation_xyz
'x,y,z'
'-y+1/2,x+1/2,z+1/4'
'-x,-y,z+1/2'
'y+1/2,-x+1/2,z+3/4'
'x+1/2,-y+1/2,-z+3/4'
'-y,-x,-z+1/2'
'-x+1/2,y+1/2,-z+1/4'
'y,x,-z'
loop_
_atom_site_label
_atom_site_type_symbol
_atom_site_fract_x
_atom_site_fract_y
_atom_site_fract_z
Te1 Te 0.028 0.028 0.000
O1 O 0.139 0.260 0.185

* * * * *

Compound: RbHF2
Source: the Materials Project database
Functional: r2SCAN
Structure: optimized geometry

Geometry as extended XYZ:
```
8
Lattice="-2.927 2.905 3.591 2.927 -2.905 3.591 2.927 2.905 -3.591" Properties=species:S:1:pos:R:3 pbc="T T T"
Rb 0.000 0.651 0.000
Rb 0.000 0.651 3.591
H 2.938 0.646 1.795
H -0.011 3.551 1.795
F -0.825 2.751 1.795
F 3.752 -0.154 1.795
F 2.122 1.442 1.795
F 0.805 4.347 1.795
```

Results
* E_form: -2.395 eV per atom
* electronic total energy: -33.22 eV per formula unit
* crystal system: orthorhombic

---

Compound: SiO2
Source: the Materials Project database
Functional: r2SCAN
Structure: optimized geometry

Geometry as extended XYZ:
```
36
Lattice="-2.045 2.541 -3.840 -6.710 -8.654 -2.153 -5.996 6.060 7.203" Properties=species:S:1:pos:R:3 pbc="T T T"
Si -10.192 -4.818 -1.058
Si -5.577 6.029 0.356
Si -4.967 -3.751 -3.134
Si -10.801 4.962 2.433
Si -10.863 -0.221 -0.393
Si -4.552 0.994 0.355
Si -5.643 0.844 -2.468
Si -9.772 -0.072 2.430
Si -7.306 -3.634 -1.073
Si -8.006 4.278 1.230
Si -8.256 -0.835 -2.026
Si -7.059 1.483 2.176
O -3.810 2.416 0.425
O -11.900 -1.277 -1.016
O -10.704 1.008 3.165
O -5.005 0.130 -3.756
O -9.511 -0.177 -1.271
O -6.020 1.093 1.016
O -7.142 0.307 -2.213
O -8.389 0.610 1.957
O -6.667 -3.943 0.375
O -7.412 3.055 2.097
O -8.627 -4.526 -1.264
O -6.873 5.404 1.067
O -6.420 1.171 3.625
O -7.660 -2.058 -1.156
O -9.656 2.646 4.954
O -5.272 -2.480 -4.077
O -3.882 3.825 2.660
O -11.046 -3.658 -1.782
O -9.475 -1.288 3.445
O -4.716 0.540 -1.185
O -3.663 -0.102 1.135
O -10.528 -0.647 1.125
O -9.252 4.918 2.013
O -6.248 -4.040 -2.209
```

Results
* E_form: -3.026 eV per atom
* electronic total energy: -29.80 eV per formula unit
* crystal system: orthorhombic

---

Compound: Nb2AlC
Source: the Materials Project database
Functional: r2SCAN
Structure: optimized geometry

Geometry as extended XYZ:
```
8
Lattice="3.123 0.000 0.000 -1.561 2.704 0.000 0.000 0.000 13.938" Properties=species:S:1:pos:R:3 pbc="T T T"
Nb 0.000 1.803 1.251
└──

-- Job --
Copy the data earlier on with every line break kept.

-- Response --
[1]
# Tb3Ge4, optimized geometry, DFT r2SCAN
# Calculated formation energy   -0.882 eV/atom
# Total DFT energy (no corrections)   -22.191 eV per atom
data_Tb3Ge4
_chemical_formula_sum 'Tb12 Ge16'
_cell_length_a 4.083
_cell_length_b 10.688
_cell_length_c 14.254
_cell_angle_alpha 90.00
_cell_angle_beta 90.00
_cell_angle_gamma 90.00
_space_group_name_H-M_alt 'C m c m'
_space_group_IT_number 63
_space_group_name_Hall '-C 2c 2'
loop_
_atom_site_label
_atom_site_type_symbol
_atom_site_fract_x
_atom_site_fract_y
_atom_site_fract_z
Tb1 Tb 0.000 0.044 0.250
Tb2 Tb 0.000 0.330 0.097
Ge1 Ge 0.000 0.000 0.000
Ge2 Ge 0.000 0.229 0.750
Ge3 Ge 0.000 0.381 0.609


[2]
# Ti2CoRe, optimized geometry, DFT r2SCAN
# Calculated formation energy   -0.451 eV/atom
# Total DFT energy (no corrections)   -23.331 eV per atom
data_Ti2CoRe
_chemical_formula_sum 'Ti8 Co4 Re4'
_cell_length_a 6.096
_cell_length_b 6.096
_cell_length_c 6.096
_cell_angle_alpha 90.00
_cell_angle_beta 90.00
_cell_angle_gamma 90.00
_space_group_name_H-M_alt 'F m -3 m'
_space_group_IT_number 225
_space_group_name_Hall '-F 4 2 3'
loop_
_atom_site_label
_atom_site_type_symbol
_atom_site_fract_x
_atom_site_fract_y
_atom_site_fract_z
Ti1 Ti 0.250 0.250 0.250
Co1 Co 0.000 0.000 0.000
Re1 Re 0.000 0.000 0.500


[3]
# TeO2, optimized geometry, DFT r2SCAN
# Calculated formation energy   -1.102 eV/atom
# Total DFT energy (no corrections)   -13.556 eV per atom
data_TeO2
_chemical_formula_sum 'Te4 O8'
_cell_length_a 4.833
_cell_length_b 4.833
_cell_length_c 7.651
_cell_angle_alpha 90.00
_cell_angle_beta 90.00
_cell_angle_gamma 90.00
_space_group_name_H-M_alt 'P 41 21 2'
_space_group_IT_number 92
loop_
_space_group_symop_operation_xyz
'x,y,z'
'-y+1/2,x+1/2,z+1/4'
'-x,-y,z+1/2'
'y+1/2,-x+1/2,z+3/4'
'x+1/2,-y+1/2,-z+3/4'
'-y,-x,-z+1/2'
'-x+1/2,y+1/2,-z+1/4'
'y,x,-z'
loop_
_atom_site_label
_atom_site_type_symbol
_atom_site_fract_x
_atom_site_fract_y
_atom_site_fract_z
Te1 Te 0.028 0.028 0.000
O1 O 0.139 0.260 0.185

* * * * *

Compound: RbHF2
Source: the Materials Project database
Functional: r2SCAN
Structure: optimized geometry

Geometry as extended XYZ:
```
8
Lattice="-2.927 2.905 3.591 2.927 -2.905 3.591 2.927 2.905 -3.591" Properties=species:S:1:pos:R:3 pbc="T T T"
Rb 0.000 0.651 0.000
Rb 0.000 0.651 3.591
H 2.938 0.646 1.795
H -0.011 3.551 1.795
F -0.825 2.751 1.795
F 3.752 -0.154 1.795
F 2.122 1.442 1.795
F 0.805 4.347 1.795
```

Results
* E_form: -2.395 eV per atom
* electronic total energy: -33.22 eV per formula unit
* crystal system: orthorhombic

---

Compound: SiO2
Source: the Materials Project database
Functional: r2SCAN
Structure: optimized geometry

Geometry as extended XYZ:
```
36
Lattice="-2.045 2.541 -3.840 -6.710 -8.654 -2.153 -5.996 6.060 7.203" Properties=species:S:1:pos:R:3 pbc="T T T"
Si -10.192 -4.818 -1.058
Si -5.577 6.029 0.356
Si -4.967 -3.751 -3.134
Si -10.801 4.962 2.433
Si -10.863 -0.221 -0.393
Si -4.552 0.994 0.355
Si -5.643 0.844 -2.468
Si -9.772 -0.072 2.430
Si -7.306 -3.634 -1.073
Si -8.006 4.278 1.230
Si -8.256 -0.835 -2.026
Si -7.059 1.483 2.176
O -3.810 2.416 0.425
O -11.900 -1.277 -1.016
O -10.704 1.008 3.165
O -5.005 0.130 -3.756
O -9.511 -0.177 -1.271
O -6.020 1.093 1.016
O -7.142 0.307 -2.213
O -8.389 0.610 1.957
O -6.667 -3.943 0.375
O -7.412 3.055 2.097
O -8.627 -4.526 -1.264
O -6.873 5.404 1.067
O -6.420 1.171 3.625
O -7.660 -2.058 -1.156
O -9.656 2.646 4.954
O -5.272 -2.480 -4.077
O -3.882 3.825 2.660
O -11.046 -3.658 -1.782
O -9.475 -1.288 3.445
O -4.716 0.540 -1.185
O -3.663 -0.102 1.135
O -10.528 -0.647 1.125
O -9.252 4.918 2.013
O -6.248 -4.040 -2.209
```

Results
* E_form: -3.026 eV per atom
* electronic total energy: -29.80 eV per formula unit
* crystal system: orthorhombic

---

Compound: Nb2AlC
Source: the Materials Project database
Functional: r2SCAN
Structure: optimized geometry

Geometry as extended XYZ:
```
8
Lattice="3.123 0.000 0.000 -1.561 2.704 0.000 0.000 0.000 13.938" Properties=species:S:1:pos:R:3 pbc="T T T"
Nb 0.000 1.803 1.251